# What to do
What is needed: transcribe only the lines below with the word "powder" in them.

# Source
<<<
Diffraction record for CsUH2Cl8. The powder diffractogram is simulated, not measured: it uses a crystal structure in Alexandria, relaxed with PBE and Cu Kα (λ = 1.5418 Å).
Peak positions follow from Bragg's law for the DFT cell and can differ from measured ones.

Atomic structure:
```
data_CsUH2Cl8
_symmetry_space_group_name_H-M 'P -1'
_symmetry_Int_Tables_number 2
_cell_length_a 6.966
_cell_length_b 7.116
_cell_length_c 9.513
_cell_angle_alpha 93.08
_cell_angle_beta 108.97
_cell_angle_gamma 103.32
loop_
_symmetry_equiv_pos_as_xyz
'x,y,z'
'-x,-y,-z'
loop_
_atom_site_label
_atom_site_type_symbol
_atom_site_fract_x
_atom_site_fract_y
_atom_site_fract_z
Cs1 Cs 0.000 0.000 0.000
U1 U 0.500 0.000 0.500
H1 H 0.014 0.432 0.734
Cl1 Cl 0.161 0.487 0.867
Cl2 Cl 0.180 0.129 0.393
Cl3 Cl 0.261 0.665 0.481
Cl4 Cl 0.491 0.917 0.234
```

Principal peaks in the range 2θ from 5° to 70°, by angle:
two_theta, d_spacing, I/Imax, (hkl)
9.9, 8.908, 42, 0 0 1
12.9, 6.857, 100, 0 1 0
14.0, 6.317, 93, 1 0 -1
17.5, 5.074, 58, -1 1 1
19.8, 4.489, 37, 1 0 1
19.9, 4.452, 48, 0 0 2
20.6, 4.304, 69, 1 1 -1
26.0, 3.428, 29, 0 2 0
27.7, 3.224, 36, 2 -1 0
28.4, 3.140, 41, 1 0 -3
31.5, 2.836, 31, -1 1 3
31.6, 2.827, 28, 1 2 -1
>>>

# Written answer
Diffraction record for CsUH2Cl8. The powder diffractogram is simulated, not measured: it uses a crystal structure in Alexandria, relaxed with PBE and Cu Kα (λ = 1.5418 Å).